A good looking game that suffers from lack of content and glaring technical issues

User Rating: 5 | Watch Dogs: Legion XONE

The latest addition to the Watch Dogs franchise brings us to London where following a terrorist attack, The city is on lockdown with DedSec blamed for the attack and it's up to the members to clear their name and discover who is behind it. So off the bat, We are given a premise that is arguably the best the series has to offer so far. Sadly, They don't capitalize on it.

Misplaced records of crystals >
'''
A PBEsol-optimized structure of Ta2Be2Zn, computed with SCAN.

The structure belongs to space group P4/mbm (No. 127); the cell edges are 5.986, 5.986 and 3.561 Å and the angles 90.00°, 90.00° and 90.00°. The inequivalent atoms are Ta at (0.174, 0.326, 0.000), Be at (0.121, 0.621, 0.500) and Zn at (0.000, 0.000, 0.500).

The calculation puts the energy of formation at -0.60 eV/f.u. The crystal system is tetragonal. The value obtained for the density of states at the Fermi level is 0.540 states/eV per atom. The total moment comes out at 0.0 μB per formula unit.
'''

Legion relies on these fast-paced story missions that don't do much to tell a story and often relies on cutscenes to fill in the blanks and it just isn't satisfying. And in between those missions, We are given very, and I mean very, few things to do. There is only a small handful of side missions available to play and aside from the tech-points scattered throughout the map (which is required for upgrades), There are no other collectables and no reason to really explore the map either. The irony here is that the map is fairly large yet with nothing to do outside of the campaign, It kind of defeats the purpose of putting all this effort and detail into it.

Attached: data records
Entry 1:
Below is an optimized crystal structure of Ag2TeIr, with properties calculated at the GGA-PBE level.

Output
density: 11235 kg/m3
ΔE_f (raw): 498 meV per atom
magnetization: 0.1993 μB/atom

abc: 10.426 10.426 10.426
angles: 16.44 16.44 16.44
Site moments in Bohr magnetons follow the coordinates.
Fractional positions:
Te1 0.750 0.750 0.750  0.00
Ag1 0.990 0.990 0.990  0.02
Ag2 0.510 0.510 0.510  0.02
Ir1 0.250 0.250 0.250  0.75


Entry 2:
Below is an optimized crystal structure of MnCr2Rh, with properties calculated at the GGA-PBE level.

Output
density: 8675 kg/m3
magnetization: 0.5580 μB/atom
energy above the most stable polymorph in this dataset: 133 meV/atom

abc: 2.582 2.582 8.071
angles: 90.00 90.00 111.37
Site moments in Bohr magnetons follow the coordinates.
Fractional positions:
Cr1 0.000 0.000 0.014  0.15
Cr2 0.500 0.500 0.247  -0.46
Rh1 0.500 0.500 0.753  0.18
Mn1 0.000 0.000 0.486  2.33

See what made me like Watch Dogs and even Watch Dogs 2 is that there was actual stuff to do outside of the main story. You had options to do things outside of the campaign. Legion doesn't give you that option and that is a glaring negative for me. And on top of that, there is still a pretty decent amount of bugs and glitches that affect the game as well.

Within the first 10 minutes of playing, My parked car was hit and slowly floated into the air. I couldn't control it at all and my only option was to quit and reload the game. Then there is the annoying issue with the minimap where it doesn't give you the quickest route to an objective, It makes you go way out of your way before setting you on the right track. And not just that, It also shows the objective in the wrong direction on the map and unless you put a waypoint in said objective you want to go towards, You'll deal with this issue constantly. The map is an incredibly relied upon feature and yet it is the most broken part of the game, Now that is a shame.

Now despite all these glaring negatives, Legion plays fine and it is as enjoyable to play as any other Watch Dogs game. Does it do anything dramatically different? Well, Aside from being able to ride on drones, not really. However, I'd be lying if I said that hacking stuff wasn't fun but it isn't as fluid as it was in previous games. The reaction time to do stuff isn't as immediate and when you have to make a quick decision, you would hope for an equally quick response but that isn't the case. You honestly might as well forget about hacking stuff while driving because it is more of a pain than anything else.

Overall: 5/10
I would safely say that Legion is my least favourite entry because it holds so much promise but it just utterly failed to deliver. I think a lot of the shortcomings could have been addressed fairly easy and actually putting content into the game would have increased it's overall score quite a bit.